Yannick Bolasie reacts after hearing the Premier League are deducting Everton more points

The wider footballing world is keen to offer their verdict on Everton’s latest points deduction, as the first-ever side in top-flight history to receive two in one campaign.

Whether it is by Sky Sports reporters or financial experts, there is a wealth of knowledge and opinion being spread around for open consumption.

And the interest is certainly there to go with it, with many curious to learn exactly how the Premier League and their independent commission have reached such a conclusion.

One such confused party is Yannick Bolasie, who has taken to social media to detail his frustration.

Yannick Bolasie makes scathing statement to Premier League

Taking to X, the former Everton winger, who endured an injury-ravaged spell at Goodison Park, has maintained a good rapport with Evertonians since departing in 2021.

The trickster, who was expected to spearhead Farhad Moshiri’s cash-laden revolution on Merseyside, ended up being one of his greatest failures, through no fault of anyone’s really.

Photo by Tony McArdle/Everton FC via Getty Images

It is likely this regretful disappointment which has maintained such a fine relationship between fans and the player, only strengthened by his vocal support for the club on numerous occasions.

That has not wavered here either, during the toughest moments, offering his support during the latest deduction news.

He writes: ‘Easy targets smh! but one thing that won’t change is those fans and there support….Done it for the last 2 years! They will help keep the club where they need to be.’

Everton fans must now drag the team to safety

Having taken the team on their back in previous seasons, Evertonians will once again begrudgingly have to take this group of players and propel them through what will be a tough, arduous final few games now.

After all, their spirits must remain high, as their punishment has not condemned them to the drop completely.

Far from it, in fact, as they still sit two points clear of both Nottingham Forest and Luton Town with a far superior goal difference.

Were it not for their accumulated eight-point deduction, they would be so far clear of the drop now it is laughable.

Sean Dyche has worked wonders, but has constantly been pegged back by the skeletons emerging from the club’s closet.

-- Next to the article, the page also holds calculated crystals --
~~~
1.
Here is Ti4Pd5Pt2 after structural relaxation from the Alexandria database. Energies are from PBE-GGA.

```
Ti4Pd5Pt2
1.0
9.302 -1.397 0.000
9.302 1.397 0.000
-0.552 0.000 6.930
Ti Pd Pt
4 5 2
Direct
0.056 0.056 0.343
0.292 0.292 0.206
0.708 0.708 0.794
0.944 0.944 0.657
0.153 0.153 0.077
0.188 0.188 0.461
0.500 0.500 0.000
0.812 0.812 0.539
0.847 0.847 0.923
0.079 0.079 0.713
0.921 0.921 0.287
```

ΔE_f, eV/atom: -0.410
Space group: C2/m (12)
Spin magnetization, μB/cell: 0.001

---

2.
Here is Ti3Pd2Pt after structural relaxation from the Alexandria database. Energies are from PBE-GGA.

```
Ti3Pd2Pt
1.0
2.844 0.000 0.000
0.000 2.844 0.000
0.000 0.000 11.562
Ti Pd Pt
3 2 1
Direct
0.000 0.000 0.000
0.000 0.000 0.334
0.000 0.000 0.666
0.500 0.500 0.166
0.500 0.500 0.834
0.500 0.500 0.500
```

ΔE_f, eV/atom: -0.656
Space group: P4/mmm (123)
Spin magnetization, μB/cell: 0.814

---

3.
Here is TiPd2Pt after structural relaxation from the Alexandria database. Energies are from PBE-GGA.

```
TiPd2Pt
1.0
2.775 -4.859 0.000
2.775 4.859 0.000
0.000 0.000 4.514
Ti Pd Pt
2 4 2
Direct
0.171 0.829 0.750
0.829 0.171 0.250
0.167 0.330 0.750
0.330 0.167 0.250
0.670 0.833 0.750
0.833 0.670 0.250
0.330 0.670 0.250
0.670 0.330 0.750
```

ΔE_f, eV/atom: -0.723
Space group: Cmcm (63)
Spin magnetization, μB/cell: 0.000

---

4.
Here is Ti3PdPt2 after structural relaxation from the Alexandria database. Energies are from PBE-GGA.

```
Ti3PdPt2
1.0
-1.376 2.412 7.569
1.376 -2.412 7.569
1.376 2.412 -7.569
Ti Pd Pt
3 1 2
Direct
0.000 0.000 0.000
0.320 0.820 0.500
0.680 0.180 0.500
0.500 0.000 0.500
0.152 0.652 0.500
0.848 0.348 0.500
```

ΔE_f, eV/atom: -0.478
Space group: Immm (71)
Spin magnetization, μB/cell: 0.001

---

5.
Here is Ti2Pd3Pt3 after structural relaxation from the Alexandria database. Energies are from PBE-GGA.

```
Ti2Pd3Pt3
1.0
3.693 2.132 2.692
-3.693 2.132 2.692
0.000 -4.264 2.692
Ti Pd Pt
2 3 3
Direct
0.226 0.226 0.226
0.774 0.774 0.774
0.221 0.779 0.500
0.500 0.221 0.779
0.779 0.500 0.221
0.000 0.296 0.704
0.296 0.704 0.000
0.704 0.000 0.296
```

ΔE_f, eV/atom: -0.615
Space group: R32 (155)
Spin magnetization, μB/cell: 0.000

---

6.
Here is Ti3PdPt4 after structural relaxation from the Alexandria database. Energies are from PBE-GGA.

```
Ti3PdPt4
1.0
9.145 0.000 0.000
0.000 5.602 0.000
0.000 0.000 4.832
Ti Pd Pt
6 2 8
Direct
0.000 0.000 0.000
0.250 0.000 0.376
0.250 0.500 0.337
0.500 0.000 0.000
0.750 0.000 0.624
0.750 0.500 0.663
0.000 0.500 0.000
0.500 0.500 0.000
0.000 0.249 0.500
0.000 0.751 0.500
0.250 0.248 0.859
0.250 0.752 0.859
0.500 0.249 0.500
0.500 0.751 0.500
0.750 0.248 0.141
0.750 0.752 0.141
```

ΔE_f, eV/atom: -0.847
Space group: Pmma (51)
Spin magnetization, μB/cell: 1.362

---

7.
Here is Ti3Pd2Pt2 after structural relaxation from the Alexandria database. Energies are from PBE-GGA.

```
Ti3Pd2Pt2
1.0
4.400 -1.969 0.000
4.400 1.969 0.000
-1.201 0.000 6.319
Ti Pd Pt
3 2 2
Direct
0.000 0.000 0.000
0.410 0.410 0.296
~~~

Photo by Alex Livesey/Getty Images

Fortunately, Everton boasts a fanbase unwilling to lie down in the face of adversity, and who should be buoyed more than ever by this ruling. Especially given the run of form enjoyed after their last deduction, which saw them win four straight Premier League matches in a row.